Activity:
Could you retype the whole of the entries further down without additions?

Source:
/*
1.
A plane-wave DFT calculation with PBE was carried out for a relaxed NaZnBP2O9 crystal.

E (MP2020)   -577.43 eV per cell
Magnetic moment   12.00 μB per cell

abc: 9.662 9.662 14.900
angles: 90.00 90.00 120.00
Element x y z (fractional)
O1 0.370 0.072 0.132
O2 0.815 0.565 0.659
O3 0.764 0.764 0.000
O4 0.630 0.702 0.201
O5 0.370 0.298 0.701
O6 0.236 0.236 0.500
O7 0.565 0.750 0.492
O8 0.225 0.219 0.107
O9 0.377 0.527 0.860
O10 0.850 0.473 0.807
O11 0.377 0.850 0.974
O12 0.000 0.764 0.167
O13 0.185 0.750 0.674
O14 0.150 0.623 0.526
O15 0.185 0.435 0.159
O16 0.000 0.236 0.667
O17 0.527 0.377 0.140
O18 0.994 0.775 0.774
O19 0.298 0.928 0.535
O20 0.630 0.928 0.632
O21 0.225 0.006 0.726
O22 0.623 0.150 0.474
O23 0.781 0.006 0.441
O24 0.072 0.370 0.868
O25 0.702 0.072 0.035
O26 0.006 0.225 0.274
O27 0.815 0.250 0.174
O28 0.750 0.185 0.326
O29 0.250 0.435 0.008
O30 0.775 0.994 0.226
O31 0.473 0.623 0.640
O32 0.565 0.815 0.341
O33 0.236 0.000 0.333
O34 0.850 0.377 0.026
O35 0.764 0.000 0.833
O36 0.250 0.815 0.826
O37 0.527 0.150 0.693
O38 0.781 0.775 0.393
O39 0.219 0.994 0.941
O40 0.750 0.565 0.508
O41 0.219 0.225 0.893
O42 0.006 0.781 0.559
O43 0.702 0.630 0.799
O44 0.435 0.250 0.992
O45 0.150 0.527 0.307
O46 0.775 0.781 0.607
O47 0.928 0.298 0.465
O48 0.928 0.630 0.368
O49 0.473 0.850 0.193
O50 0.298 0.370 0.299
O51 0.435 0.185 0.841
O52 0.994 0.219 0.059
O53 0.623 0.473 0.360
O54 0.072 0.702 0.965
P1 0.160 0.389 0.262
P2 0.160 0.770 0.572
P3 0.840 0.611 0.762
P4 0.389 0.160 0.738
P5 0.840 0.230 0.072
P6 0.389 0.230 0.095
P7 0.611 0.770 0.595
P8 0.230 0.840 0.928
P9 0.230 0.389 0.905
P10 0.611 0.840 0.238
P11 0.770 0.611 0.405
P12 0.770 0.160 0.428
Na1 0.561 0.781 0.917
Na2 0.219 0.781 0.250
Na3 0.781 0.219 0.750
Na4 0.219 0.439 0.583
Na5 0.439 0.219 0.417
Na6 0.781 0.561 0.083
B1 0.837 0.163 0.250
B2 0.327 0.163 0.917
B3 0.163 0.327 0.083
B4 0.163 0.837 0.750
B5 0.837 0.673 0.583
B6 0.673 0.837 0.417
Zn1 0.970 0.485 0.917
Zn2 0.515 0.485 0.250
Zn3 0.515 0.030 0.583
Zn4 0.485 0.515 0.750
Zn5 0.030 0.515 0.417
Zn6 0.485 0.970 0.083

2.
A plane-wave DFT calculation with PBE was carried out for a relaxed Rb2Te crystal.

E (MP2020)   -16.69 eV per cell
Energy above the most stable polymorph in this dataset   57 meV/atom

abc: 6.142 6.142 8.148
angles: 90.00 90.00 120.00
Element x y z (fractional)
Rb1 0.000 0.000 0.500
Rb2 0.000 0.000 0.000
Rb3 0.333 0.667 0.250
Rb4 0.667 0.333 0.750
Te1 0.333 0.667 0.750
Te2 0.667 0.333 0.250

3.
A plane-wave DFT calculation with PBE was carried out for a relaxed La3Cd crystal.

abc: 7.295 7.295 5.675
angles: 90.00 90.00 120.00
Element x y z (fractional)
La1 0.176 0.824 0.250
La2 0.824 0.176 0.750
La3 0.352 0.176 0.750
La4 0.176 0.352 0.250
La5 0.824 0.648 0.750
La6 0.648 0.824 0.250
Cd1 0.333 0.667 0.750
Cd2 0.667 0.333 0.250

4.
A plane-wave DFT calculation with PBE was carried out for a relaxed La3CuSnSe7 crystal.

E (MP2020)   -135.34 eV per cell

abc: 10.806 10.806 6.362
angles: 90.00 90.00 120.00
Element x y z (fractional)
Se1 0.746 0.903 0.487
Se2 0.572 0.086 0.715
Se3 0.428 0.914 0.215
Se4 0.254 0.097 0.987
Se5 0.667 0.333 0.281
Se6 0.333 0.667 0.781
Se7 0.156 0.254 0.487
Se8 0.903 0.156 0.987
Se9 0.914 0.486 0.715
Se10 0.086 0.514 0.215
Se11 0.844 0.746 0.987
Se12 0.097 0.844 0.487
Se13 0.514 0.428 0.715
Se14 0.486 0.572 0.215
Sn1 0.667 0.333 0.885
Sn2 0.333 0.667 0.385
Cu1 0.000 0.000 0.499
Cu2 0.000 0.000 0.999
La1 0.355 0.135 0.464
La2 0.645 0.865 0.964
La3 0.865 0.220 0.464
La4 0.780 0.645 0.464
La5 0.135 0.780 0.964
La6 0.220 0.355 0.964

5.
A plane-wave DFT calculation with PBE was carried out for a relaxed Mg3Ge3Sb2O12 crystal.

E (MP2020)   -515.66 eV per cell
Magnetic moment   0.00 μB per cell

abc: 10.953 10.953 10.953
angles: 109.47 109.47 109.47
Element x y z (fractional)
O1 0.092 0.866 0.397
O2 0.408 0.103 0.634
O3 0.397 0.092 0.866
O4 0.092 0.726 0.695
O5 0.695 0.103 0.968
O6 0.592 0.195 0.226
O7 0.532 0.634 0.726
O8 0.726 0.695 0.092
O9 0.195 0.468 0.603
O10 0.897 0.366 0.592
*/

Solution:
1.
A plane-wave DFT calculation with PBE was carried out for a relaxed NaZnBP2O9 crystal.

E (MP2020)   -577.43 eV per cell
Magnetic moment   12.00 μB per cell

abc: 9.662 9.662 14.900
angles: 90.00 90.00 120.00
Element x y z (fractional)
O1 0.370 0.072 0.132
O2 0.815 0.565 0.659
O3 0.764 0.764 0.000
O4 0.630 0.702 0.201
O5 0.370 0.298 0.701
O6 0.236 0.236 0.500
O7 0.565 0.750 0.492
O8 0.225 0.219 0.107
O9 0.377 0.527 0.860
O10 0.850 0.473 0.807
O11 0.377 0.850 0.974
O12 0.000 0.764 0.167
O13 0.185 0.750 0.674
O14 0.150 0.623 0.526
O15 0.185 0.435 0.159
O16 0.000 0.236 0.667
O17 0.527 0.377 0.140
O18 0.994 0.775 0.774
O19 0.298 0.928 0.535
O20 0.630 0.928 0.632
O21 0.225 0.006 0.726
O22 0.623 0.150 0.474
O23 0.781 0.006 0.441
O24 0.072 0.370 0.868
O25 0.702 0.072 0.035
O26 0.006 0.225 0.274
O27 0.815 0.250 0.174
O28 0.750 0.185 0.326
O29 0.250 0.435 0.008
O30 0.775 0.994 0.226
O31 0.473 0.623 0.640
O32 0.565 0.815 0.341
O33 0.236 0.000 0.333
O34 0.850 0.377 0.026
O35 0.764 0.000 0.833
O36 0.250 0.815 0.826
O37 0.527 0.150 0.693
O38 0.781 0.775 0.393
O39 0.219 0.994 0.941
O40 0.750 0.565 0.508
O41 0.219 0.225 0.893
O42 0.006 0.781 0.559
O43 0.702 0.630 0.799
O44 0.435 0.250 0.992
O45 0.150 0.527 0.307
O46 0.775 0.781 0.607
O47 0.928 0.298 0.465
O48 0.928 0.630 0.368
O49 0.473 0.850 0.193
O50 0.298 0.370 0.299
O51 0.435 0.185 0.841
O52 0.994 0.219 0.059
O53 0.623 0.473 0.360
O54 0.072 0.702 0.965
P1 0.160 0.389 0.262
P2 0.160 0.770 0.572
P3 0.840 0.611 0.762
P4 0.389 0.160 0.738
P5 0.840 0.230 0.072
P6 0.389 0.230 0.095
P7 0.611 0.770 0.595
P8 0.230 0.840 0.928
P9 0.230 0.389 0.905
P10 0.611 0.840 0.238
P11 0.770 0.611 0.405
P12 0.770 0.160 0.428
Na1 0.561 0.781 0.917
Na2 0.219 0.781 0.250
Na3 0.781 0.219 0.750
Na4 0.219 0.439 0.583
Na5 0.439 0.219 0.417
Na6 0.781 0.561 0.083
B1 0.837 0.163 0.250
B2 0.327 0.163 0.917
B3 0.163 0.327 0.083
B4 0.163 0.837 0.750
B5 0.837 0.673 0.583
B6 0.673 0.837 0.417
Zn1 0.970 0.485 0.917
Zn2 0.515 0.485 0.250
Zn3 0.515 0.030 0.583
Zn4 0.485 0.515 0.750
Zn5 0.030 0.515 0.417
Zn6 0.485 0.970 0.083

2.
A plane-wave DFT calculation with PBE was carried out for a relaxed Rb2Te crystal.

E (MP2020)   -16.69 eV per cell
Energy above the most stable polymorph in this dataset   57 meV/atom

abc: 6.142 6.142 8.148
angles: 90.00 90.00 120.00
Element x y z (fractional)
Rb1 0.000 0.000 0.500
Rb2 0.000 0.000 0.000
Rb3 0.333 0.667 0.250
Rb4 0.667 0.333 0.750
Te1 0.333 0.667 0.750
Te2 0.667 0.333 0.250

3.
A plane-wave DFT calculation with PBE was carried out for a relaxed La3Cd crystal.

abc: 7.295 7.295 5.675
angles: 90.00 90.00 120.00
Element x y z (fractional)
La1 0.176 0.824 0.250
La2 0.824 0.176 0.750
La3 0.352 0.176 0.750
La4 0.176 0.352 0.250
La5 0.824 0.648 0.750
La6 0.648 0.824 0.250
Cd1 0.333 0.667 0.750
Cd2 0.667 0.333 0.250

4.
A plane-wave DFT calculation with PBE was carried out for a relaxed La3CuSnSe7 crystal.

E (MP2020)   -135.34 eV per cell

abc: 10.806 10.806 6.362
angles: 90.00 90.00 120.00
Element x y z (fractional)
Se1 0.746 0.903 0.487
Se2 0.572 0.086 0.715
Se3 0.428 0.914 0.215
Se4 0.254 0.097 0.987
Se5 0.667 0.333 0.281
Se6 0.333 0.667 0.781
Se7 0.156 0.254 0.487
Se8 0.903 0.156 0.987
Se9 0.914 0.486 0.715
Se10 0.086 0.514 0.215
Se11 0.844 0.746 0.987
Se12 0.097 0.844 0.487
Se13 0.514 0.428 0.715
Se14 0.486 0.572 0.215
Sn1 0.667 0.333 0.885
Sn2 0.333 0.667 0.385
Cu1 0.000 0.000 0.499
Cu2 0.000 0.000 0.999
La1 0.355 0.135 0.464
La2 0.645 0.865 0.964
La3 0.865 0.220 0.464
La4 0.780 0.645 0.464
La5 0.135 0.780 0.964
La6 0.220 0.355 0.964

5.
A plane-wave DFT calculation with PBE was carried out for a relaxed Mg3Ge3Sb2O12 crystal.

E (MP2020)   -515.66 eV per cell
Magnetic moment   0.00 μB per cell

abc: 10.953 10.953 10.953
angles: 109.47 109.47 109.47
Element x y z (fractional)
O1 0.092 0.866 0.397
O2 0.408 0.103 0.634
O3 0.397 0.092 0.866
O4 0.092 0.726 0.695
O5 0.695 0.103 0.968
O6 0.592 0.195 0.226
O7 0.532 0.634 0.726
O8 0.726 0.695 0.092
O9 0.195 0.468 0.603
O10 0.897 0.366 0.592